Source >
********
Record 1
37
Properties=species:S:1:pos:R:3 method="wB97M-V/def2-TZVPD" charge=+2 relative_energy_kcal_mol=0.0 gap_ha=0.0712
O -3.602 -2.841 -1.295
S -2.357 -3.532 -1.475
O -1.636 -3.828 0.007
Cl -2.718 -3.972 1.262
O -1.223 -2.535 -1.982
C -1.676 -1.513 -2.914
C -2.073 -0.234 -2.185
C -0.869 0.696 -2.064
F 0.300 0.040 -1.934
F -0.791 1.396 -3.224
C -0.998 1.800 -0.970
F -2.229 2.368 -1.147
F -0.094 2.752 -1.184
C -0.940 1.274 0.509
F -0.805 -0.025 0.557
F -2.248 1.537 1.111
C 0.039 1.976 1.474
F -0.375 1.646 2.725
F -0.154 3.316 1.385
C 1.552 1.601 1.311
F 1.828 1.285 0.037
F 2.238 2.715 1.596
C 2.058 0.494 2.285
F 1.168 -0.514 2.420
F 2.213 1.073 3.482
C 3.443 -0.123 1.868
F 4.027 -0.490 3.022
F 4.238 0.786 1.300
C 3.335 -1.428 1.017
F 3.086 -2.470 1.791
F 2.357 -1.334 0.098
F 4.487 -1.610 0.394
H -2.512 -1.867 -3.511
H -0.858 -1.348 -3.608
H -2.538 -0.457 -1.229
H -2.808 0.275 -2.805
Be -2.865 3.087 1.873


Record 2
24
Properties=species:S:1:pos:R:3 method="wB97M-V/def2-TZVPD" charge=-1 relative_energy_kcal_mol=4.4 gap_ha=0.2623
Tl -1.713 3.376 0.216
O -1.175 1.122 1.624
C -0.736 0.585 0.589
O -0.512 1.176 -0.489
C -0.508 -0.917 0.616
C -0.101 -1.572 -0.543
C -0.037 -2.948 -0.573
C -0.379 -3.671 0.568
C -0.721 -3.021 1.753
C -0.788 -1.644 1.770
N -0.406 -5.097 0.511
O -0.690 -5.710 1.528
O -0.164 -5.639 -0.556
H 0.135 -0.974 -1.409
H 0.255 -3.483 -1.462
H -0.949 -3.610 2.629
H -1.075 -1.096 2.656
O 0.556 4.494 0.732
N 1.557 4.831 0.029
C 1.545 4.749 -1.293
C 2.668 5.162 -2.024
N 3.550 5.513 -2.675
C 0.388 4.332 -1.964
N -0.700 4.041 -2.235


Record 3
26
Properties=species:S:1:pos:R:3 method="wB97M-V/def2-TZVPD" charge=-1 relative_energy_kcal_mol=0.0 gap_ha=0.2889
Ag 9.634 7.818 2.337
O 9.594 12.097 1.997
C 9.080 10.969 2.472
O 9.771 10.201 3.081
C 7.657 10.675 2.169
O 7.591 9.295 2.001
C 6.318 8.670 2.104
C 6.470 7.179 2.135
O 5.393 6.553 2.087
O 7.620 6.700 2.243
H 10.520 12.081 2.265
H 7.380 11.275 1.292
H 6.956 11.017 2.924
H 5.620 8.976 1.332
H 5.833 8.995 3.006
Cl 12.610 10.098 1.964
C 12.885 8.363 2.095
C 11.798 7.514 2.133
C 12.179 6.187 2.146
Cl 10.891 5.018 2.172
C 13.500 5.716 2.187
Cl 13.851 4.037 2.241
C 14.532 6.640 2.214
Cl 16.161 6.090 2.312
C 14.248 7.993 2.172
Cl 15.549 9.131 2.194


Record 4
24
Properties=species:S:1:pos:R:3 method="wB97M-V/def2-TZVPD" charge=0 smiles="O=C1c2cc(Cl)c(COC(F)(F)F)cc2C(=O)N1S" gap_ha=0.2969
O 4.523 -1.768 0.597
C 3.655 -0.877 0.569
C 2.108 -0.892 0.192
C 1.213 -1.957 -0.471
C -0.285 -1.540 -0.707
Cl -1.409 -2.760 -1.511
C -0.838 -0.156 -0.294
C -2.328 0.363 -0.529
O -3.260 -0.024 0.521
C -4.591 0.320 0.197
F -4.706 1.229 -0.884
F -5.278 0.932 1.291
F -5.378 -0.819 -0.169
C 0.154 0.843 0.399
C 1.638 0.516 0.661
C 2.818 1.342 1.341
O 2.727 2.369 2.034
N 4.011 0.526 0.968
S 4.515 1.394 -0.484
H 1.651 -2.955 -0.791
H -2.269 1.515 -0.528
H -2.676 -0.052 -1.546
H -0.237 1.871 0.720
H 4.242 0.580 -1.576


Record 5
25
Properties=species:S:1:pos:R:3 method="wB97M-V/def2-TZVPD" charge=+2 relative_energy_kcal_mol=0.0 gap_ha=0.2991
Sc 0.070 -0.917 0.972
O -3.531 0.972 -0.216
C -2.326 0.648 0.087
O -1.993 -0.366 0.719
C -1.251 1.591 -0.354
C -1.392 2.790 -1.032
C -0.231 3.512 -1.295
C 1.008 3.037 -0.867
C 1.042 1.827 -0.195
N -0.068 1.133 0.032
C 2.213 1.096 0.411
O 3.421 1.527 0.374
O 1.964 0.024 0.982
H -4.193 0.323 0.093
H -2.366 3.146 -1.339
H -0.291 4.454 -1.824
H 1.900 3.617 -1.066
H 3.563 2.375 -0.077
O 0.247 -2.316 -0.294
N 0.238 -3.029 0.866
C 0.336 -4.305 0.809
C 0.451 -4.992 -0.442
N 0.546 -5.542 -1.444
C 0.321 -5.023 2.050
N 0.321 -5.582 3.051


Record 6
26
Properties=species:S:1:pos:R:3 method="wB97M-V/def2-TZVPD" spin_multiplicity=6 charge=+4 relative_energy_kcal_mol=35.5 gap_ha="0.2870 / 0.1613"
Ru -0.262 -0.077 -2.483
Al 2.964 -0.228 1.335
Cl 3.218 0.210 -0.824
Cl 2.654 -2.185 1.818
C -1.771 -0.075 -1.390
C -0.005 0.855 -4.071
C 0.032 -1.843 -2.787
O -2.685 -0.123 -0.668
O 0.208 1.433 -5.043
O 0.273 -2.985 -2.907
N 0.697 1.762 -1.082
C 0.625 1.880 0.306
N 1.176 1.020 1.189
********

Brief >
The reader should retype the whole of the rows above without altering anything.

Response >
Record 1
37
Properties=species:S:1:pos:R:3 method="wB97M-V/def2-TZVPD" charge=+2 relative_energy_kcal_mol=0.0 gap_ha=0.0712
O -3.602 -2.841 -1.295
S -2.357 -3.532 -1.475
O -1.636 -3.828 0.007
Cl -2.718 -3.972 1.262
O -1.223 -2.535 -1.982
C -1.676 -1.513 -2.914
C -2.073 -0.234 -2.185
C -0.869 0.696 -2.064
F 0.300 0.040 -1.934
F -0.791 1.396 -3.224
C -0.998 1.800 -0.970
F -2.229 2.368 -1.147
F -0.094 2.752 -1.184
C -0.940 1.274 0.509
F -0.805 -0.025 0.557
F -2.248 1.537 1.111
C 0.039 1.976 1.474
F -0.375 1.646 2.725
F -0.154 3.316 1.385
C 1.552 1.601 1.311
F 1.828 1.285 0.037
F 2.238 2.715 1.596
C 2.058 0.494 2.285
F 1.168 -0.514 2.420
F 2.213 1.073 3.482
C 3.443 -0.123 1.868
F 4.027 -0.490 3.022
F 4.238 0.786 1.300
C 3.335 -1.428 1.017
F 3.086 -2.470 1.791
F 2.357 -1.334 0.098
F 4.487 -1.610 0.394
H -2.512 -1.867 -3.511
H -0.858 -1.348 -3.608
H -2.538 -0.457 -1.229
H -2.808 0.275 -2.805
Be -2.865 3.087 1.873


Record 2
24
Properties=species:S:1:pos:R:3 method="wB97M-V/def2-TZVPD" charge=-1 relative_energy_kcal_mol=4.4 gap_ha=0.2623
Tl -1.713 3.376 0.216
O -1.175 1.122 1.624
C -0.736 0.585 0.589
O -0.512 1.176 -0.489
C -0.508 -0.917 0.616
C -0.101 -1.572 -0.543
C -0.037 -2.948 -0.573
C -0.379 -3.671 0.568
C -0.721 -3.021 1.753
C -0.788 -1.644 1.770
N -0.406 -5.097 0.511
O -0.690 -5.710 1.528
O -0.164 -5.639 -0.556
H 0.135 -0.974 -1.409
H 0.255 -3.483 -1.462
H -0.949 -3.610 2.629
H -1.075 -1.096 2.656
O 0.556 4.494 0.732
N 1.557 4.831 0.029
C 1.545 4.749 -1.293
C 2.668 5.162 -2.024
N 3.550 5.513 -2.675
C 0.388 4.332 -1.964
N -0.700 4.041 -2.235


Record 3
26
Properties=species:S:1:pos:R:3 method="wB97M-V/def2-TZVPD" charge=-1 relative_energy_kcal_mol=0.0 gap_ha=0.2889
Ag 9.634 7.818 2.337
O 9.594 12.097 1.997
C 9.080 10.969 2.472
O 9.771 10.201 3.081
C 7.657 10.675 2.169
O 7.591 9.295 2.001
C 6.318 8.670 2.104
C 6.470 7.179 2.135
O 5.393 6.553 2.087
O 7.620 6.700 2.243
H 10.520 12.081 2.265
H 7.380 11.275 1.292
H 6.956 11.017 2.924
H 5.620 8.976 1.332
H 5.833 8.995 3.006
Cl 12.610 10.098 1.964
C 12.885 8.363 2.095
C 11.798 7.514 2.133
C 12.179 6.187 2.146
Cl 10.891 5.018 2.172
C 13.500 5.716 2.187
Cl 13.851 4.037 2.241
C 14.532 6.640 2.214
Cl 16.161 6.090 2.312
C 14.248 7.993 2.172
Cl 15.549 9.131 2.194


Record 4
24
Properties=species:S:1:pos:R:3 method="wB97M-V/def2-TZVPD" charge=0 smiles="O=C1c2cc(Cl)c(COC(F)(F)F)cc2C(=O)N1S" gap_ha=0.2969
O 4.523 -1.768 0.597
C 3.655 -0.877 0.569
C 2.108 -0.892 0.192
C 1.213 -1.957 -0.471
C -0.285 -1.540 -0.707
Cl -1.409 -2.760 -1.511
C -0.838 -0.156 -0.294
C -2.328 0.363 -0.529
O -3.260 -0.024 0.521
C -4.591 0.320 0.197
F -4.706 1.229 -0.884
F -5.278 0.932 1.291
F -5.378 -0.819 -0.169
C 0.154 0.843 0.399
C 1.638 0.516 0.661
C 2.818 1.342 1.341
O 2.727 2.369 2.034
N 4.011 0.526 0.968
S 4.515 1.394 -0.484
H 1.651 -2.955 -0.791
H -2.269 1.515 -0.528
H -2.676 -0.052 -1.546
H -0.237 1.871 0.720
H 4.242 0.580 -1.576


Record 5
25
Properties=species:S:1:pos:R:3 method="wB97M-V/def2-TZVPD" charge=+2 relative_energy_kcal_mol=0.0 gap_ha=0.2991
Sc 0.070 -0.917 0.972
O -3.531 0.972 -0.216
C -2.326 0.648 0.087
O -1.993 -0.366 0.719
C -1.251 1.591 -0.354
C -1.392 2.790 -1.032
C -0.231 3.512 -1.295
C 1.008 3.037 -0.867
C 1.042 1.827 -0.195
N -0.068 1.133 0.032
C 2.213 1.096 0.411
O 3.421 1.527 0.374
O 1.964 0.024 0.982
H -4.193 0.323 0.093
H -2.366 3.146 -1.339
H -0.291 4.454 -1.824
H 1.900 3.617 -1.066
H 3.563 2.375 -0.077
O 0.247 -2.316 -0.294
N 0.238 -3.029 0.866
C 0.336 -4.305 0.809
C 0.451 -4.992 -0.442
N 0.546 -5.542 -1.444
C 0.321 -5.023 2.050
N 0.321 -5.582 3.051


Record 6
26
Properties=species:S:1:pos:R:3 method="wB97M-V/def2-TZVPD" spin_multiplicity=6 charge=+4 relative_energy_kcal_mol=35.5 gap_ha="0.2870 / 0.1613"
Ru -0.262 -0.077 -2.483
Al 2.964 -0.228 1.335
Cl 3.218 0.210 -0.824
Cl 2.654 -2.185 1.818
C -1.771 -0.075 -1.390
C -0.005 0.855 -4.071
C 0.032 -1.843 -2.787
O -2.685 -0.123 -0.668
O 0.208 1.433 -5.043
O 0.273 -2.985 -2.907
N 0.697 1.762 -1.082
C 0.625 1.880 0.306
N 1.176 1.020 1.189